[To do]
Your job: echo the lines underneath up to the one that holds "0.5925", that line included.
[Data]
-- begin --
Diffraction record for AcMgI6. The X-ray powder pattern is simulated, not measured: it uses a cell relaxed with GGA-PBE and Cu Ka.
No peak broadening, texture or thermal motion is included.

Peak list (12 most intense, 15 to 90 degrees two-theta, in order of rising 2θ)
2θ = 15.89°, d 5.577, I 29, hkl 0 1 1
2θ = 21.94°, d 4.052, I 19, hkl 1 0 -1
2θ = 26.42°, d 3.374, I 100, hkl 1 2 0
2θ = 26.51°, d 3.362, I 79, hkl -1 1 1
2θ = 26.67°, d 3.343, I 75, hkl 2 1 2
2θ = 26.94°, d 3.310, I 28, hkl 2 0 1
2θ = 35.09°, d 2.557, I 32, hkl 2 1 -1
2θ = 35.28°, d 2.544, I 30, hkl 1 -1 2
2θ = 35.47°, d 2.531, I 31, hkl 1 2 3
2θ = 40.32°, d 2.237, I 74, hkl 0 3 1
2θ = 49.06°, d 1.857, I 16, hkl 2 4 3
2θ = 54.39°, d 1.687, I 19, hkl 0 0 4

Cell and atoms:
```
AcMgI6
1.0
7.746 0.000 0.000
3.870 6.712 0.000
3.796 2.205 6.746
Ac Mg I
1 1 6
Direct
0.000 0.000 0.000
0.500 0.500 0.500
0.094 0.441 0.741
0.275 0.908 0.262
0.444 0.721 0.744
0.556 0.279 0.256
0.725 0.092 0.738
0.906 0.559 0.259
```


No. 1
For KV4O7, the GGA+U geometry in Alexandria gives the computed XRD peak list in this record (λ = 1.5418 Å (Cu Kα)).
Peak positions follow from Bragg's law for the DFT cell and can differ from measured ones.

Crystal structure
```
KV4O7
1.0
14.213 0.000 0.000
0.000 5.720 0.000
0.000 0.000 5.313
K V O
2 8 14
direct
0.000 0.167 0.000 K
0.500 0.833 0.500 K
0.119 0.683 0.390 V
0.248 0.180 0.381 V
0.252 0.820 0.881 V
0.381 0.317 0.890 V
0.619 0.317 0.890 V
0.748 0.820 0.881 V
0.752 0.180 0.381 V
0.881 0.683 0.390 V
0.000 0.787 0.308 O
0.138 0.733 0.729 O
0.142 0.372 0.320 O
0.214 0.878 0.230 O
0.286 0.122 0.730 O
0.358 0.628 0.820 O
0.362 0.267 0.229 O
0.500 0.213 0.808 O
0.638 0.267 0.229 O
0.642 0.628 0.820 O
0.714 0.122 0.730 O
0.786 0.878 0.230 O
0.858 0.372 0.320 O
0.862 0.733 0.729 O
```

Most intense lines, 5 to 70 degrees two-theta, in order of falling intensity:
2theta, I_rel
26.10, 1000
12.46, 498
17.82, 420
29.60, 412
25.19, 356
33.74, 329
31.28, 322
16.71, 289


No. 2
For K2Y2VO6, the GGA+U geometry in Alexandria gives the computed XRD peak list in this record (λ = 1.5418 Å (Cu Kα)).
Peak positions follow from Bragg's law for the DFT cell and can differ from measured ones.

Crystal structure
```
K2Y2VO6
1.0
2.875 -4.969 0.000
2.875 4.969 0.000
-1.695 0.000 6.344
K Y V O
2 2 1 6
direct
0.162 0.838 0.000 K
0.838 0.162 0.000 K
0.333 0.667 0.500 Y
0.667 0.333 0.500 Y
0.000 0.000 0.500 V
0.048 0.358 0.672 O
0.233 0.233 0.335 O
0.358 0.048 0.672 O
0.642 0.952 0.328 O
0.767 0.767 0.665 O
0.952 0.642 0.328 O
```

Most intense lines, 5 to 70 degrees two-theta, in order of falling intensity:
2theta, I_rel
13.96, 1000
36.27, 683
37.11, 345
28.13, 304
32.75, 294
55.43, 275
50.24, 185
32.23, 158


Calculated X-ray diffraction stick pattern of Ba2AlBiO6 for Cu Kα, 1.54184 Å, from a crystal structure in Alexandria, relaxed with PBE.
Peak positions follow from Bragg's law for the DFT cell and can differ from measured ones.

Main lines, by angle (10° ≤ 2θ ≤ 90°):
Position (°2θ)	I/Imax
17.6	23.1
21.1	21.5
27.5	71.2
30.2	100.0
35.2	15.8
35.4	19.2
41.3	51.5
52.0	23.1
53.6	20.2
62.8	21.6

Atomic structure:
```
Ba2AlBiO6
1.0
2.9593 1.7085 9.7891
-2.9593 1.7085 9.7891
0.0000 -3.4171 9.7891
Ba Al Bi O
4 2 2 12
Direct
0.1312 0.1312 0.1312
0.2838 0.2838 0.2838
0.7162 0.7162 0.7162
0.8688 0.8688 0.8688
0.0000 0.0000 0.0000
0.5000 0.5000 0.5000
0.4075 0.4075 0.4075
0.5925 0.5925 0.5925
0.1566 0.6104 0.6104
0.1938 0.1938 0.7284
0.1938 0.7284 0.1938
0.2716 0.8062 0.8062
0.3896 0.3896 0.8434
0.3896 0.8434 0.3896
0.6104 0.1566 0.6104
0.6104 0.6104 0.1566
0.7284 0.1938 0.1938
0.8062 0.2716 0.8062
0.8062 0.8062 0.2716
0.8434 0.3896 0.3896
```

---

Calculated X-ray diffraction stick pattern of Y3Te2Pt for Cu Kα, 1.54184 Å, from a crystal structure in Alexandria, relaxed with PBE.
Peak positions follow from Bragg's law for the DFT cell and can differ from measured ones.

Main lines, by angle (10° ≤ 2θ ≤ 90°):
Position (°2θ)	I/Imax
12.9	8.2
29.3	100.0
41.2	12.2
41.9	48.0
42.7	11.3
-- stop --
[Worked solution]
Diffraction record for AcMgI6. The X-ray powder pattern is simulated, not measured: it uses a cell relaxed with GGA-PBE and Cu Ka.
No peak broadening, texture or thermal motion is included.

Peak list (12 most intense, 15 to 90 degrees two-theta, in order of rising 2θ)
2θ = 15.89°, d 5.577, I 29, hkl 0 1 1
2θ = 21.94°, d 4.052, I 19, hkl 1 0 -1
2θ = 26.42°, d 3.374, I 100, hkl 1 2 0
2θ = 26.51°, d 3.362, I 79, hkl -1 1 1
2θ = 26.67°, d 3.343, I 75, hkl 2 1 2
2θ = 26.94°, d 3.310, I 28, hkl 2 0 1
2θ = 35.09°, d 2.557, I 32, hkl 2 1 -1
2θ = 35.28°, d 2.544, I 30, hkl 1 -1 2
2θ = 35.47°, d 2.531, I 31, hkl 1 2 3
2θ = 40.32°, d 2.237, I 74, hkl 0 3 1
2θ = 49.06°, d 1.857, I 16, hkl 2 4 3
2θ = 54.39°, d 1.687, I 19, hkl 0 0 4

Cell and atoms:
```
AcMgI6
1.0
7.746 0.000 0.000
3.870 6.712 0.000
3.796 2.205 6.746
Ac Mg I
1 1 6
Direct
0.000 0.000 0.000
0.500 0.500 0.500
0.094 0.441 0.741
0.275 0.908 0.262
0.444 0.721 0.744
0.556 0.279 0.256
0.725 0.092 0.738
0.906 0.559 0.259
```


No. 1
For KV4O7, the GGA+U geometry in Alexandria gives the computed XRD peak list in this record (λ = 1.5418 Å (Cu Kα)).
Peak positions follow from Bragg's law for the DFT cell and can differ from measured ones.

Crystal structure
```
KV4O7
1.0
14.213 0.000 0.000
0.000 5.720 0.000
0.000 0.000 5.313
K V O
2 8 14
direct
0.000 0.167 0.000 K
0.500 0.833 0.500 K
0.119 0.683 0.390 V
0.248 0.180 0.381 V
0.252 0.820 0.881 V
0.381 0.317 0.890 V
0.619 0.317 0.890 V
0.748 0.820 0.881 V
0.752 0.180 0.381 V
0.881 0.683 0.390 V
0.000 0.787 0.308 O
0.138 0.733 0.729 O
0.142 0.372 0.320 O
0.214 0.878 0.230 O
0.286 0.122 0.730 O
0.358 0.628 0.820 O
0.362 0.267 0.229 O
0.500 0.213 0.808 O
0.638 0.267 0.229 O
0.642 0.628 0.820 O
0.714 0.122 0.730 O
0.786 0.878 0.230 O
0.858 0.372 0.320 O
0.862 0.733 0.729 O
```

Most intense lines, 5 to 70 degrees two-theta, in order of falling intensity:
2theta, I_rel
26.10, 1000
12.46, 498
17.82, 420
29.60, 412
25.19, 356
33.74, 329
31.28, 322
16.71, 289


No. 2
For K2Y2VO6, the GGA+U geometry in Alexandria gives the computed XRD peak list in this record (λ = 1.5418 Å (Cu Kα)).
Peak positions follow from Bragg's law for the DFT cell and can differ from measured ones.

Crystal structure
```
K2Y2VO6
1.0
2.875 -4.969 0.000
2.875 4.969 0.000
-1.695 0.000 6.344
K Y V O
2 2 1 6
direct
0.162 0.838 0.000 K
0.838 0.162 0.000 K
0.333 0.667 0.500 Y
0.667 0.333 0.500 Y
0.000 0.000 0.500 V
0.048 0.358 0.672 O
0.233 0.233 0.335 O
0.358 0.048 0.672 O
0.642 0.952 0.328 O
0.767 0.767 0.665 O
0.952 0.642 0.328 O
```

Most intense lines, 5 to 70 degrees two-theta, in order of falling intensity:
2theta, I_rel
13.96, 1000
36.27, 683
37.11, 345
28.13, 304
32.75, 294
55.43, 275
50.24, 185
32.23, 158


Calculated X-ray diffraction stick pattern of Ba2AlBiO6 for Cu Kα, 1.54184 Å, from a crystal structure in Alexandria, relaxed with PBE.
Peak positions follow from Bragg's law for the DFT cell and can differ from measured ones.

Main lines, by angle (10° ≤ 2θ ≤ 90°):
Position (°2θ)	I/Imax
17.6	23.1
21.1	21.5
27.5	71.2
30.2	100.0
35.2	15.8
35.4	19.2
41.3	51.5
52.0	23.1
53.6	20.2
62.8	21.6

Atomic structure:
```
Ba2AlBiO6
1.0
2.9593 1.7085 9.7891
-2.9593 1.7085 9.7891
0.0000 -3.4171 9.7891
Ba Al Bi O
4 2 2 12
Direct
0.1312 0.1312 0.1312
0.2838 0.2838 0.2838
0.7162 0.7162 0.7162
0.8688 0.8688 0.8688
0.0000 0.0000 0.0000
0.5000 0.5000 0.5000
0.4075 0.4075 0.4075
0.5925 0.5925 0.5925